Excerpt
- - -
No. 1
DFT (PBE) results for crystalline Cs2U2O7 at its relaxed geometry.

Computed properties:
The value obtained for the total energy after the MP2020 corrections is -8.64 eV/atom.

Cell and atoms, written as CIF:
```
data_Cs2U2O7
_cell_length_a 14.619
_cell_length_b 4.359
_cell_length_c 7.711
_cell_angle_alpha 90.00
_cell_angle_beta 113.27
_cell_angle_gamma 90.00
_space_group_name_H-M_alt 'C 1 2/m 1'
_space_group_IT_number 12
loop_
_space_group_symop_operation_xyz
'x,y,z'
'-x,-y,-z'
'-x,y,-z'
'x,-y,z'
'x+1/2,y+1/2,z'
'-x+1/2,-y+1/2,-z'
'-x+1/2,y+1/2,-z'
'x+1/2,-y+1/2,z'
loop_
_atom_site_label
_atom_site_fract_x
_atom_site_fract_y
_atom_site_fract_z
Cs1 0.104 0.000 0.418
U1 0.147 0.500 0.993
O1 0.000 0.500 0.000
O2 0.089 0.500 0.727
O3 0.191 0.000 0.996
O4 0.199 0.500 0.258
```

No. 2
DFT (PBE) results for crystalline NdInNi4 at its relaxed geometry.

Cell and atoms, written as CIF:
```
data_NdInNi4
_cell_length_a 7.151
_cell_length_b 7.151
_cell_length_c 7.151
_cell_angle_alpha 90.00
_cell_angle_beta 90.00
_cell_angle_gamma 90.00
_space_group_name_H-M_alt 'F -4 3 m'
_space_group_IT_number 216
_space_group_name_Hall 'F -4 2 3'
loop_
_atom_site_label
_atom_site_fract_x
_atom_site_fract_y
_atom_site_fract_z
Nd1 0.000 0.000 0.000
In1 0.250 0.250 0.250
Ni1 0.124 0.124 0.624
```

No. 3
DFT (PBE) results for crystalline ErF3 at its relaxed geometry.

Computed properties:
The value obtained for the total energy after the MP2020 corrections is -7.05 eV/atom.

Cell and atoms, written as CIF:
```
data_ErF3
_cell_length_a 6.134
_cell_length_b 6.852
_cell_length_c 4.740
_cell_angle_alpha 90.00
_cell_angle_beta 90.00
_cell_angle_gamma 90.00
_space_group_name_H-M_alt 'P n m a'
_space_group_IT_number 62
loop_
_space_group_symop_operation_xyz
'x,y,z'
'-x,-y,-z'
'-x+1/2,-y,z+1/2'
'x+1/2,y,-z+1/2'
'x+1/2,-y+1/2,-z+1/2'
'-x+1/2,y+1/2,z+1/2'
'-x,y+1/2,-z'
'x,-y+1/2,z'
loop_
_atom_site_label
_atom_site_fract_x
_atom_site_fract_y
_atom_site_fract_z
Er1 0.135 0.250 0.039
F1 0.035 0.750 0.369
F2 0.161 0.564 0.849
```

Total energy values (in eV per atom) by entry order: -8.2046, -5.4210, -6.7007.
E_form values (in eV/atom) by entry order: -3.2773, -0.3143, -4.4693.

~~~~~

This record from Materials Project describes a relaxed structure of KCrP2S7. The functional is PBE.

Geometry as extended XYZ:
```
11
Lattice="4.886 4.316 0.000 -4.886 4.316 0.000 0.000 0.844 6.529" Properties=species:S:1:pos:R:3 pbc="T T T"
K 3.925 4.738 3.264
Cr -0.014 4.316 0.000
P 1.507 2.539 6.040
P 1.507 6.937 0.489
S -4.619 4.316 0.000
S -1.670 3.202 1.412
S 0.274 3.538 4.762
S 0.274 5.938 1.767
S 1.633 6.548 5.407
S 1.633 2.928 1.122
S -1.670 6.274 5.117
```

- corrected total energy (MP2020 scheme) (eV/atom) = -5.47
- calculated volume (Å³/f.u.) = 275.4
- VASP energy (eV/atom) = -5.146
- formation energy (eV/atom) = -0.871
- symmetry = No. 5
- largest piezoelectric modulus (C/m²) = 0.44

~~~~~

Below is a geometry-optimized KEu2Cd2Sb3 structure, with properties calculated at the PBE level.

Unit cell a=12.659 b=4.879 c=16.296 alpha=90.00 beta=90.00 gamma=90.00
Element x y z (fractional)
Eu 0.136 0.750 0.220
Eu 0.364 0.250 0.720
Eu 0.600 0.250 0.924
Eu 0.864 0.250 0.780
Eu 0.400 0.750 0.076
Eu 0.900 0.750 0.424
Eu 0.636 0.750 0.280
Eu 0.100 0.250 0.576
Sb 0.377 0.750 0.308
Sb 0.211 0.250 0.087
Sb 0.877 0.750 0.192
Sb 0.123 0.250 0.808
Sb 0.421 0.750 0.873
Sb 0.289 0.750 0.587
Sb 0.623 0.250 0.692
Sb 0.921 0.750 0.627
Sb 0.789 0.750 0.913
Sb 0.079 0.250 0.373
Sb 0.579 0.250 0.127
Sb 0.711 0.250 0.413
Cd 0.803 0.250 0.576
Cd 0.130 0.750 0.720
Cd 0.197 0.750 0.424
Cd 0.303 0.250 0.924
Cd 0.870 0.250 0.280
Cd 0.370 0.250 0.220
Cd 0.630 0.750 0.780
Cd 0.697 0.750 0.076
K 0.908 0.250 0.046
K 0.408 0.250 0.454
K 0.092 0.750 0.954
K 0.592 0.750 0.546

Results
calculated formation energy = -0.7552 eV per atom
space group = Pnma, No. 62
E_tot = -5.1653 eV per atom

Below is a geometry-optimized LiEu2Cd structure, with properties calculated at the PBE level.
- - -

Activity
Could you quote only the last part of the material further above, starting with the line that has "_cell_length_a 6.134"?

Outcome
_cell_length_a 6.134
_cell_length_b 6.852
_cell_length_c 4.740
_cell_angle_alpha 90.00
_cell_angle_beta 90.00
_cell_angle_gamma 90.00
_space_group_name_H-M_alt 'P n m a'
_space_group_IT_number 62
loop_
_space_group_symop_operation_xyz
'x,y,z'
'-x,-y,-z'
'-x+1/2,-y,z+1/2'
'x+1/2,y,-z+1/2'
'x+1/2,-y+1/2,-z+1/2'
'-x+1/2,y+1/2,z+1/2'
'-x,y+1/2,-z'
'x,-y+1/2,z'
loop_
_atom_site_label
_atom_site_fract_x
_atom_site_fract_y
_atom_site_fract_z
Er1 0.135 0.250 0.039
F1 0.035 0.750 0.369
F2 0.161 0.564 0.849
```

Total energy values (in eV per atom) by entry order: -8.2046, -5.4210, -6.7007.
E_form values (in eV/atom) by entry order: -3.2773, -0.3143, -4.4693.

~~~~~

This record from Materials Project describes a relaxed structure of KCrP2S7. The functional is PBE.

Geometry as extended XYZ:
```
11
Lattice="4.886 4.316 0.000 -4.886 4.316 0.000 0.000 0.844 6.529" Properties=species:S:1:pos:R:3 pbc="T T T"
K 3.925 4.738 3.264
Cr -0.014 4.316 0.000
P 1.507 2.539 6.040
P 1.507 6.937 0.489
S -4.619 4.316 0.000
S -1.670 3.202 1.412
S 0.274 3.538 4.762
S 0.274 5.938 1.767
S 1.633 6.548 5.407
S 1.633 2.928 1.122
S -1.670 6.274 5.117
```

- corrected total energy (MP2020 scheme) (eV/atom) = -5.47
- calculated volume (Å³/f.u.) = 275.4
- VASP energy (eV/atom) = -5.146
- formation energy (eV/atom) = -0.871
- symmetry = No. 5
- largest piezoelectric modulus (C/m²) = 0.44

~~~~~

Below is a geometry-optimized KEu2Cd2Sb3 structure, with properties calculated at the PBE level.

Unit cell a=12.659 b=4.879 c=16.296 alpha=90.00 beta=90.00 gamma=90.00
Element x y z (fractional)
Eu 0.136 0.750 0.220
Eu 0.364 0.250 0.720
Eu 0.600 0.250 0.924
Eu 0.864 0.250 0.780
Eu 0.400 0.750 0.076
Eu 0.900 0.750 0.424
Eu 0.636 0.750 0.280
Eu 0.100 0.250 0.576
Sb 0.377 0.750 0.308
Sb 0.211 0.250 0.087
Sb 0.877 0.750 0.192
Sb 0.123 0.250 0.808
Sb 0.421 0.750 0.873
Sb 0.289 0.750 0.587
Sb 0.623 0.250 0.692
Sb 0.921 0.750 0.627
Sb 0.789 0.750 0.913
Sb 0.079 0.250 0.373
Sb 0.579 0.250 0.127
Sb 0.711 0.250 0.413
Cd 0.803 0.250 0.576
Cd 0.130 0.750 0.720
Cd 0.197 0.750 0.424
Cd 0.303 0.250 0.924
Cd 0.870 0.250 0.280
Cd 0.370 0.250 0.220
Cd 0.630 0.750 0.780
Cd 0.697 0.750 0.076
K 0.908 0.250 0.046
K 0.408 0.250 0.454
K 0.092 0.750 0.954
K 0.592 0.750 0.546

Results
calculated formation energy = -0.7552 eV per atom
space group = Pnma, No. 62
E_tot = -5.1653 eV per atom

Below is a geometry-optimized LiEu2Cd structure, with properties calculated at the PBE level.